Input:
- - -
First-principles (PBE) data for an optimized crystal structure of LaCr2GaTe, as listed in Alexandria.

The structure in CIF format:
```
data_LaCr2GaTe
_chemical_formula_sum 'La1 Cr2 Ga1 Te1'
_cell_length_a 4.6381
_cell_length_b 5.6062
_cell_length_c 4.6381
_cell_angle_alpha 90.00
_cell_angle_beta 90.00
_cell_angle_gamma 90.00
_symmetry_space_group_name_H-M 'P 1'
_symmetry_Int_Tables_number 1
loop_
_symmetry_equiv_pos_as_xyz
'x,y,z'
loop_
_atom_site_label
_atom_site_fract_x
_atom_site_fract_y
_atom_site_fract_z
Cr1 0.5000 0.0000 0.0000
La1 0.0000 0.0000 0.0000
Ga1 0.0000 0.5000 0.0000
Te1 0.5000 0.5000 0.5000
Cr2 0.0000 0.0000 0.5000
```

Results
ΔE_f (raw): 1.67 eV/atom
total magnetic moment: 0.3 μB per cell
calculated volume: 24.1 Å³/atom

---

First-principles (PBE) data for an optimized crystal structure of LaCrGaTe2, as listed in Alexandria.

The structure in CIF format:
```
data_LaCrGaTe2
_chemical_formula_sum 'La1 Cr1 Ga1 Te2'
_cell_length_a 6.1287
_cell_length_b 5.8144
_cell_length_c 6.1287
_cell_angle_alpha 90.00
_cell_angle_beta 90.00
_cell_angle_gamma 90.00
_symmetry_space_group_name_H-M 'P 1'
_symmetry_Int_Tables_number 1
loop_
_symmetry_equiv_pos_as_xyz
'x,y,z'
loop_
_atom_site_label
_atom_site_fract_x
_atom_site_fract_y
_atom_site_fract_z
Te1 0.5000 0.0000 0.0000
Te2 0.0000 0.0000 0.5000
Ga1 0.5000 0.5000 0.5000
La1 0.0000 0.0000 0.0000
Cr1 0.0000 0.5000 0.0000
```

Results
ΔE_f (raw): 0.39 eV/atom
total magnetic moment: 5.3 μB per cell
calculated volume: 43.7 Å³/atom

---

First-principles (PBE) data for an optimized crystal structure of LaVCr2Ga, as listed in Alexandria.

The structure in CIF format:
```
data_LaVCr2Ga
_chemical_formula_sum 'La1 V1 Cr2 Ga1'
_cell_length_a 4.3305
_cell_length_b 5.4852
_cell_length_c 4.3305
_cell_angle_alpha 90.00
_cell_angle_beta 90.00
_cell_angle_gamma 90.00
_symmetry_space_group_name_H-M 'P 1'
_symmetry_Int_Tables_number 1
loop_
_symmetry_equiv_pos_as_xyz
'x,y,z'
loop_
_atom_site_label
_atom_site_fract_x
_atom_site_fract_y
_atom_site_fract_z
Cr1 0.5000 0.0000 0.0000
La1 0.0000 0.5000 0.0000
Ga1 0.5000 0.5000 0.5000
V1 0.0000 0.0000 0.0000
Cr2 0.0000 0.0000 0.5000
```

Results
total magnetic moment: 0.0 μB per cell
calculated volume: 20.6 Å³/atom
formation energy from the elements: 1.075 eV per atom

---

First-principles (PBE) data for an optimized crystal structure of LiCrGa2, as listed in Alexandria.

The structure in CIF format:
```
data_LiCrGa2
_chemical_formula_sum 'Li2 Cr2 Ga4'
_cell_length_a 3.8551
_cell_length_b 3.8551
_cell_length_c 9.0364
_cell_angle_alpha 77.68
_cell_angle_beta 77.68
_cell_angle_gamma 90.00
_symmetry_space_group_name_H-M 'P 1'
_symmetry_Int_Tables_number 1
loop_
_symmetry_equiv_pos_as_xyz
'x,y,z'
loop_
_atom_site_label
_atom_site_fract_x
_atom_site_fract_y
_atom_site_fract_z
Ga1 0.3750 0.3555 0.7500
Li1 0.5000 0.5000 0.0000
Cr1 0.7500 0.2500 0.5000
Ga2 0.8750 0.8945 0.7500
Ga3 0.1055 0.6250 0.2500
Li2 0.2500 0.7500 0.5000
Ga4 0.6445 0.1250 0.2500
Cr2 0.0000 0.0000 0.0000
```

Results
total magnetic moment: 0.0 μB per cell
calculated volume: 16.0 Å³/atom
formation energy from the elements: 0.491 eV per atom

---

First-principles (PBE) data for an optimized crystal structure of LiCrGa3, as listed in Alexandria.

The structure in CIF format:
```
data_LiCrGa3
_chemical_formula_sum 'Li1 Cr1 Ga3'
_cell_length_a 4.6878
_cell_length_b 4.6878
_cell_length_c 4.6878
_cell_angle_alpha 90.00
_cell_angle_beta 90.00
_cell_angle_gamma 90.00
_symmetry_space_group_name_H-M 'P 1'
_symmetry_Int_Tables_number 1
loop_
_symmetry_equiv_pos_as_xyz
'x,y,z'
loop_
_atom_site_label
_atom_site_fract_x
_atom_site_fract_y
_atom_site_fract_z
Ga1 0.5000 0.0000 0.0000
Ga2 0.0000 0.5000 0.0000
Ga3 0.0000 0.0000 0.5000
Li1 0.5000 0.5000 0.5000
Cr1 0.0000 0.0000 0.0000
```

Results
total magnetic moment: 0.0 μB per cell
energy above the most stable polymorph in this dataset: 0 meV/atom
calculated volume: 20.6 Å³/atom
formation energy from the elements: 0.154 eV per atom

---
- - -

Assignment:
Your job: restate only the lines further up with the word "data" in them.

Solution:
First-principles (PBE) data for an optimized crystal structure of LaCr2GaTe, as listed in Alexandria.
First-principles (PBE) data for an optimized crystal structure of LaCrGaTe2, as listed in Alexandria.
First-principles (PBE) data for an optimized crystal structure of LaVCr2Ga, as listed in Alexandria.
First-principles (PBE) data for an optimized crystal structure of LiCrGa2, as listed in Alexandria.
First-principles (PBE) data for an optimized crystal structure of LiCrGa3, as listed in Alexandria.